Sustainable construction techniques – current situation
In: Sustainable construction techniques
5709 Ergebnisse
(Misplaced records of molecules)
The following is a DFT calculation (wB97M-V/def2-TZVPD) of a 4-piece molecular cluster, C3H14O3S overall at a distorted geometry.

Geometry as XYZ:
```
21
Properties=species:S:1:pos:R:3:forces:R:3
H -3.8526 -1.0791 -1.0151 0.19 -0.69 -0.01
H -0.7983 -2.3074 -1.0926 0.17 -1.01 2.38
H 1.5023 0.6547 -0.1386 1.24 -1.86 0.32
H -1.5306 -2.5117 -2.6380 -0.41 -0.90 -0.31
O 0.8838 1.3229 -0.2885 -2.12 1.98 -0.34
H -2.3236 -0.4133 -2.8828 0.53 0.04 1.10
H -3.1954 0.4876 -0.5791 0.31 -1.64 -0.19
S 0.7488 -1.6384 -2.7472 -1.86 -0.19 0.22
C -1.8216 -0.5674 -1.8767 -1.92 -0.33 -1.13
C -1.0657 -1.8389 -1.9632 2.34 0.78 -2.80
C -2.9055 -0.6195 -0.7687 1.01 3.12 1.03
H 4.8143 -0.2672 4.9540 -0.40 0.34 -0.30
H -2.4259 -0.9331 0.2040 -0.86 -0.13 -0.98
H 1.5418 3.9453 3.3575 0.63 -2.51 -0.74
H 0.7158 2.9168 2.6377 0.47 -0.47 -0.12
H -1.1340 0.2431 -1.7880 0.26 0.76 0.40
O 1.6132 2.9781 3.0097 -1.03 2.93 0.85
H -0.0127 0.9507 -0.3638 0.90 -0.07 0.12
H 0.3639 -2.0509 -3.9729 0.21 0.15 0.21
O 4.8422 0.1217 4.0702 0.69 -0.34 -0.07
H 4.0396 0.6060 3.8820 -0.33 0.04 0.35
```
Positions in Å, forces in eV/Å.

Calculated values
Energy relative to the best compared isomer or geometry (same formula, charge and spin)   148.6 kJ/mol
SMILES string   CCCS.O.O.O
Orbital gap   9.8 eV
E_tot   -20314.6950 eV

***

The following is a DFT calculation (wB97M-V/def2-TZVPD) of a 4-piece molecular cluster, C3H14O3S2 overall at a distorted geometry.

Geometry as XYZ:
```
22
Properties=species:S:1:pos:R:3:forces:R:3
O -1.4207 -0.0450 2.0097 0.12 -0.10 -0.41
H 0.5181 0.7903 -1.8192 -0.05 0.00 0.26
H 1.7920 0.3077 -3.8615 0.18 -0.81 0.06
H -2.1500 0.5342 1.7683 -0.08 -0.01 0.17
H 0.8503 -0.8626 -1.1757 1.16 1.16 -0.12
H -0.9141 -0.1327 1.1933 -0.03 0.04 0.11
C -0.0730 -0.7929 -3.6642 -0.31 -3.59 -0.92
C 1.3797 -0.5217 -3.2609 -0.81 0.07 1.26
H -0.7388 -1.0420 -2.8196 0.13 1.18 0.07
O -0.2730 -0.4595 4.6578 1.37 -2.16 -1.20
H -0.3388 -1.0521 3.8698 -1.61 1.28 -0.04
O -3.9164 0.4120 5.3108 0.03 -0.03 0.37
H -4.4071 -0.0257 6.0159 -0.09 0.01 -0.17
H -0.4963 -0.0931 -4.3883 -0.07 -0.16 0.35
S 3.4185 2.4932 -2.4773 -0.64 -1.49 0.05
H 0.5638 -0.9326 4.8284 0.21 0.98 1.43
H 1.9825 -1.4600 -3.2172 -0.18 0.98 -0.57
S 2.9172 0.7807 -1.3000 -0.17 -0.39 0.34
H -0.1476 -1.8832 -4.0653 0.30 1.87 -0.37
C 1.2522 -0.0148 -1.8124 0.73 0.90 -0.79
H 3.2701 3.3999 -1.5236 -0.28 0.27 0.37
H -3.0686 0.6000 5.7311 0.10 -0.01 -0.27
```
Positions in Å, forces in eV/Å.

Calculated values
Energy relative to the best compared isomer or geometry (same formula, charge and spin)   169.1 kJ/mol
SMILES string   CCCSS.O.O.O
Orbital gap   9.2 eV
E_tot   -31149.7152 eV

***

The following is a DFT calculation (wB97M-V/def2-TZVPD) of a 4-piece molecular cluster, C3H14O5 overall at a distorted geometry.
(The records of molecules stop here)
In: Sustainable construction techniques
Spanish Islamic military architecture shows an attempt at the systematization of works, techniques, and defensive elements, commencing in the era of the Umayyad Emirate and Caliphate up to the North African Empires (Almoravids and Almohads). This article presents an analysis of the constructive techniques and systems employed in the fortified architecture in al-Ṭagr al-Awsaṯ ; that is, the Medium Frontier Territory of al-Andalus, called Marca Media, between the 8th and 13th centuries. The fortification of the borders was an objective of the Umayyad Emirate and Caliphate, as well as of the new kingdoms of Taifas and the Almoravid and Almohad Empires. The buildings were designed not only to defend a territory but also as a way of demonstrating the political power, and thus they were used as &ldquo ; state propaganda&rdquo ; . The triumph of the Islamic State over different groups, the advance of the Christian conquest, the decline of the Caliphate, and the invasion of the Almoravids and Almohads were situations that modified the definition of borders, the strategies of defense, and the organization of cities and territories. Therefore, the construction of fortifications acted as a mirror reflecting the social, political, and economic circumstances, whose changes depended on the real possibilities, knowledge, celerity, or technological evolution of the time. As such, these constructions permit an analysis of not only the building techniques, but also the people who carried them out, showing in their remains the social implications and organization of work from the master builders down to the quarry workers. This article presents the organization and technical knowledge of construction through a selection of cases studies, including watchtowers, castles, city walls, and fortresses.
In: The International journal of construction education and research: a tri-annual publication of the Associated Schools of Construction, Band 4, Heft 3, S. 177-188
ISSN: 1550-3984, 1522-8150
In: Journal for studies in economics and econometrics: SEE, Band 42, Heft 1, S. 41-62
ISSN: 0379-6205
In: Habitat international: a journal for the study of human settlements, Band 37, S. 163-169
Prepared for Office, Chief of Engineers, U.S. Army, Washington, D.C. under Project No. 4A762719AT40, Task A2, Work Unit 015, and Task A3, Work Unit 005. ; Includes bibliographical references (page 23). ; Mode of access: Internet.
In: Statistical papers, Band 62, Heft 6, S. 2923-2967
ISSN: 1613-9798
In the early nineteenth century, Portugal suffered one of the largest military offensives ever held in its territory. The Portuguese people, with his British Allies, prepared to resist the invasion. Between 1809 and 1811, a complex defensive system was built around Lisbon, called "The Defensive Lines of Torres", which objective was to protect the Portuguese capital during the Third French Invasion. The architecture and the military strategy of this defensive system have turned into a reference of the European history, because it determines the beginning of the defeat of the Napoleonic troops. This defensive system is composed by 152 fortifications and 85 km of length, organized by two Defensive Lines, at the North of Lisbon, connecting Tagus River to Atlantic Ocean. A vast area of military structures was implemented, including fortifications of massive dimensions, as well as small strongholds, redoubts and batteries. These military structures had to be built very quickly, using natural resources. The material withdrawn from the ditches excavated around them – earth and stones – was often employed in the forts' construction. However, rigorous plans and selected techniques were used, in order to achieve the strong, durable structures that could be preserved for two hundred years, until nowadays. Normally, inside the military square there was a powder magazine to store ammunitions, transverses made out of earth from the ditches to protect soldiers from the enemy fire and gun platforms where they manoeuvred the artillery pieces. The Forts' walls were lifted using military rammed earth, together with stone and possibly agglomerated with lime. The powder magazines and, in some cases, the gun platforms were built in masonry, of stone and lime-earth mortars. In the scope of a Project to restore the Forts and to enhance the Historical sets, the study of the construction techniques and materials is to be carried out. Mortars' samples were extracted from four forts of the two Defensive Lines of Torres, three from powder magazines and one from a gun platform. Samples of rammed earth were also collected from several forts. In the present paper the study of the mortars is presented. The stratigraphy of the applied mortars, their composition and physical characteristics are described and discussed. Conclusions are withdrawn concerning the military construction techniques in those difficult war conditions. ; DED/NRI ; 2011 ; 11-15 de Setembro
In: International journal of critical infrastructures: IJCIS, Band 21, Heft 5
ISSN: 1741-8038
In: Groenhuijzen , M R & Verhagen , J W H P 2017 , ' Comparing network construction techniques in the context of local transport networks in the Dutch part of the Roman limes ' , Journal of Archaeological Science: Reports , vol. 15 , pp. 235 .
This paper aims to compare network construction techniques and evaluate which one achieves the best representation of a local provisioning system that connects rural settlements with military castella in the Dutch part of the Roman limes. Using an existing site dataset and a dataset of least-cost path reconstructions between all sites, a number of network construction techniques are described and applied, including maximum distance networks, proximal point networks, a Delaunay triangulation, a Gabriel graph and efficiency networks. They are evaluated using the network metric of average path length and 'local' average path length to reach the castella, along with other indicators. Ultimately the Gabriel graph and proximal point networks with a high number of neighbours proved to be the best representation through a good performance on the evaluated indicators as well as the presence of a number of downsides in the other networks, with the Gabriel graph being slightly better due to a smaller number of links needed. This study thus shows that the choice for a network construction technique in archaeological case studies is important and presents a possible strategy to approach such a problem.
With respect to the past the schools today must satisfy the new needs mainly related to the society changes and the development of innovative teaching and pedagogical methods and at the same time, in the context of the Paris Agreement and the 2030 climate and energy framework, be designed as neutral carbon buildings with low primary energy needs. In Italy the last law deals with the environmental system of school buildings dates to 1975. The only integration proposed by the Ministry of Education, University and Research (MIUR), dated 2013 outlines only a series of uniquely qualitative guidelines, without any reference to any building's typological features. Furthermore, this national law of 1975th did not refer to any energy requirements because the first regulation about the buildings' energy performance was approved in Italy in 1976. Moreover, the design support manuals appear outdated, especially because they are based on the current school regulation of 1975th. In addition, in Italy, the European legislation on energy saving has been implemented with the Ministerial Decree of 26th June 2015 and it points out that starting from the 1st January of 2019 all the public buildings must be nZEB. Therefore, for the design of a new school building specific and interdisciplinary references are currently absent that considers both the innovations introduced by new didactic and pedagogical methods and the principles of sustainability for environmentally friendly buildings, with almost low energy needs and zero emissions. Now the designer cannot refer to a guide, to updated typological models and to specific indications that can direct him towards proper and coherent design choices both in relation to the internal layout organisation and functional distribution of the school building and to energy and environmental strategies. The main aim of the research work is to define qualitative and quantitative guidelines that can help the designer during the preliminary phase of the design process to build carbon-neutral kindergartens and elementary schools in Italy. ; In Vergleich zur Vergangenheit müssen Schulen heute neuen Bedürfnisse befriedigen, die hauptsächlich mit den gesellschaftlichen Veränderungen und der Entwicklung innovativer Lehr- und pädagogischer Methoden zusammenhängen. Im Rahmen des Pariser Abkommens und des Klima- und Energierahmens 2030 müssen Schulen als Carbon-neutralen und mit geringem Primärenergiebedarf konzipiert werden. In Italien stammt das letzte Gesetz über das Umweltsystem von Schulgebäuden aus dem Jahr 1975. Die einzige vom Ministerium für Bildung, Universität und Forschung (MIUR) vorgeschlagene Integration vom Jahr 2013 enthält nur eine Reihe einzigartiger qualitativer Richtlinien, ohne Bezug auf jene typologische Merkmale der Gebäuden. Darüber hinaus bezog sich dieses nationale Gesetz von 1975 nicht auf den Energiebedarf, da in Italien die erste Regelung zur Energieeffizienz von Gebäuden erst in 1976 verabschiedet wurde. Außerdem erscheinen die Handbücher zur Entwurfsunterstützung veraltet, insbesondere weil sie auf Schulverordnung von 1075 basieren. In Italien wurde die europäische Gesetzgebung zur Energieeinsparung mit dem Ministerialdekret vom 26. Juni 2015 umgesetzt, und es wird darauf hingewiesen, dass erst ab dem 1. Januar 2019 alle öffentlichen Gebäude nZEB sein müssen. Daher fehlen für die Gestaltung eines neuen Schulgebäudes derzeit spezifische und interdisziplinäre Referenzen, diese sollten die durch neue didaktische und pädagogische Methoden eingeführten Innovationen als auch die Prinzipien der Nachhaltigkeit für umweltfreundliche Gebäude mit nahezu geringem Energiebedarf und null Emissionen berücksichtigen. Designer können sich gerade nicht mehr auf einen Leitfaden, auf aktualisierte typologische Modelle und auf spezifische Hinweise beziehen, die ihnen zu richtigen und kohärenten Entwurfsentscheidungen führen können, dieses gilt auch für die interne Layoutorganisation und die funktionale Verteilung des Schulgebäudes als auch für Energie- und Umweltstrategien. Das Hauptziel der Forschungsarbeit ist die Definition qualitativer und quantitativer Richtlinien, die dem Designer in der Vorphase des Entwurfsprozesses helfen können, klimaneutrale Kindergärten und Grundschulen in Italien zu bauen.
According to the importance of the occupants" satisfaction with indoor quality, providing thermal comfort is one of the main headlines of the architecture"s duties. While we have faced with technology improvement, it is conceived that the residents" relative satisfaction of thermal comfort in the past had been dramatically more than nowadays. In other hand, nowadays one of the main global issues is energy crisis which forces all industries to fallow some politics in order to reduce energy consumption and increase energy efficiency. Thus providing thermal through air conditioning system seems unacceptable and unjustifiable. In this study, selected traditional and contemporary construction systems compared in terms of thermal comfort and energy efficiency. Traditional construction techniques selected from Ottoman and British periods and contemporary construction techniques were evaluated in the conditions during the indoor environment not air conditioned and continuously air conditioned cases. Keywords: Thermal comfort, Energy efficiency, Building modeling, TAS, PMV, thermal load, thermal behavior. ; ÖZ : Bina iç mekanında, kullanıcı memnuniyetini etkileyen başlıca faktörlerden biri olan ısıl konfor koşullarının oluşturulması, mimarların sağlaması gereken en önemli görevlerden biridir. Bina yapım teknolojilerinde yaşanan gelişmelere karşın, kullanıcılar geçmişte geleneksel yapım teknikleri ile inşa edilmiş bimalarda ısıl konfor yönden kendilerini daha fazla konforda hissettiklerini düşünmektedir. Günümüzde, özellikle fosil kaynaklı enerji kaynaklarının giderek azalması, enerjinin daha etkin kullanılması ve dolayısıyla enerji tüketimini azaltması hedeflenmektedir. Bu nedenle, ısıl konforun iklimlendirme sistemleriyle gerçekleştirilmesi, enerji tüketimini artıracağından kulanımının azaltılması hedeflenmektedir. Bu araştırmada, çeşitli geleneksel ve güncel bina yapım sistemleri ile inşaa edilmiş konutların ısıl konfor ve enerji korunumu yönünden karşılaştırılması yapılmıştır. Kuzey Kıbrıs"ta yer alan, Osmanlı ve İngiliz döneminde kullanılan yapım teknikleri ve güncel olarak kullanılan yapım sistemlerinden seçilen örnekler iç mekanın iklimlendirilmediği ve sürekli iklimlendirildiği koşullarde karşılaştırılmıştır. Anahtar Kelimeler: Isıl konfor, Enerji etkinliği, TAS, PMV, Isıl yük, Isıl davranış ; Master of Science in Architecture. Thesis (M.S.)--Eastern Mediterranean University, Faculty of Architecture, Dept. of Architecture, 2014. Supervisor: Assist. Prof. Dr. Polat Hancer.
In: Edition Detail green books
In: Global Engineering and Construction, S. 121-135